For every investment made at your company, there’s an expected return. But when it comes to some expenses, like marketing, it can be hard to put your finger on exactly how to quantify the important role that marketing plays.
If you have a promotion with a dedicated landing page, you can often tie the money spent on that campaign to increased sales in the promotion. Easy.
Where it’s not so easy is around more fluid marketing goals like raising brand awareness or improving social media engagement. Both are valuable, but neither can be easily tied to a return. But when you consider that 11% of the average company budget goes toward marketing, you can see why executives would be curious about what they are getting for that investment.
In addition, when looking across industries, there is quite a bit of variation. Consumer packaged goods companies spend the largest percentage of their budget on marketing at 24%. Education hits at about the mid-range at 11% and the energy industry hits the lowest at 4%.
Not all of what’s spent on marketing may be included in that number. For instance, only 47.9% included marketing specialists’ salaries as part of that marketing budget.
/*
Below is a relaxed HgNCl crystal, with properties calculated at the PBE-GGA level.

It has space group Pmma (No. 51), with a = 7.430 Å, b = 4.133 Å, c = 4.708 Å, α = 90.00°, β = 90.00° and γ = 90.00°. The distinct sites, in fractional coordinates, are Hg at (0.000, 0.000, 0.000), N at (0.250, 0.000, 0.201) and Cl at (0.250, 0.500, 0.712).

As for the total magnetic moment: 4.02 μB/cell. The calculation puts the energy above the most stable polymorph in this dataset at 1215 meV/atom. As for the density of states at the Fermi level: 0.4 states/eV/f.u. The value obtained for the uncorrected formation energy is 1.081 eV/atom. As for the crystal system: orthorhombic.

***

Below is a relaxed Hg5N2Cl3 crystal, with properties calculated at the PBE-GGA level.

It has space group C2/c (No. 15), with a = 11.205 Å, b = 14.489 Å, c = 7.147 Å, α = 90.00°, β = 116.51° and γ = 90.00°. The distinct sites, in fractional coordinates, are Hg at (0.000, 0.009, 0.250), Hg at (0.075, 0.354, 0.591), Hg at (0.145, 0.156, 0.887), N at (0.143, 0.314, 0.907), Cl at (0.000, 0.435, 0.250) and Cl at (0.163, 0.137, 0.462).

As for the total magnetic moment: 0.00 μB/cell. As for the density of states at the Fermi level: 1.2 states/eV/f.u. The value obtained for the uncorrected formation energy is 0.347 eV/atom. As for the crystal system: monoclinic.

***

Below is a relaxed HgNCl3 crystal, with properties calculated at the PBE-GGA level.

It has space group P-1 (No. 2), with a = 4.072 Å, b = 8.182 Å, c = 9.131 Å, α = 87.30°, β = 80.07° and γ = 79.97°. The distinct sites, in fractional coordinates, are Hg at (0.060, 0.058, 0.211), N at (0.358, 0.224, 0.279), Cl at (0.194, 0.158, 0.862), Cl at (0.242, 0.423, 0.202) and Cl at (0.264, 0.237, 0.477).

As for the total magnetic moment: 0.00 μB/cell. The calculation puts the energy above the most stable polymorph in this dataset at 0 meV/atom. The value obtained for the uncorrected formation energy is 0.199 eV/atom. As for the crystal system: triclinic.

***

Below is a relaxed Hg2N2Cl3 crystal, with properties calculated at the PBE-GGA level.

It has space group P-1 (No. 2), with a = 4.116 Å, b = 5.026 Å, c = 10.807 Å, α = 76.78°, β = 84.65° and γ = 87.23°. The distinct sites, in fractional coordinates, are Hg at (0.050, 0.065, 0.367), N at (0.124, 0.693, 0.112), Cl at (0.000, 0.500, 0.500) and Cl at (0.423, 0.866, 0.780).

As for the total magnetic moment: 5.98 μB/cell. As for the density of states at the Fermi level: 0.7 states/eV/f.u. The value obtained for the uncorrected formation energy is 1.179 eV/atom. As for the crystal system: triclinic.

***

Below is a relaxed HgNCl crystal, with properties calculated at the PBE-GGA level.
*/
This is sometimes a battle between sales and marketing teams, both looking for a bigger segment of the overall budget. And there’s good reason not to be discouraged if your marketing team doesn’t get the budget they expect.
The success of your marketing team is somewhat dependent on the budget, but budgets don’t always directly correlate with success. Consider two vastly different investments and their results:
The Pepsi Flop: In 2017, Pepsi aired a commercial starring Kendall Jenner that had an estimated cost of between $2 and $5 million, including Jenner’s fee. And that expense doesn’t even begin to cover the cost of repairing your reputation after a commercial makes light of some serious issues. The commercial was pulled off the air immediately once the backlash was underway, but parodies and memes abounded for weeks.
The Dress: Scottish singer Caitlin McNeill posted an image of a dress, asking people to clear up some confusion: was the dress blue and black or white and gold? Not only did it set off a firestorm of discussion, but brands used it to decorate products in the two-color options to riff on the viral conversation. It cost them practically nothing, but served to help them look relevant and in on the joke. Everyone from Dunkin’ Donuts to Lego had a striped-dress moment. And it cost nearly nothing.
It’s hard to know where your own campaigns might fall on the Pepsi/striped dress continuum, but what’s most important is tracking where your marketing dollars are going and what you are getting for them:
Tracking your return on investment is easier when you use an all-in-one marketing automation solution like Contact us to learn more about our flexible, simple-to-use platform.